Source:
+++
[1]
## CsFe2RhCl8 (GGA-PBE)

Data for a relaxed CsFe2RhCl8 crystal.

```
CsFe2RhCl8
1.0
-4.1055 5.6314 0.8552
-6.9850 -0.7136 -0.0098
-3.5744 0.3132 9.6021
Cs Fe Rh Cl
1 2 1 8
direct
0.0000 0.0000 0.0000
0.7580 0.7580 0.7259
0.2420 0.2420 0.2741
0.5000 0.5000 0.5000
0.6799 0.6799 0.9603
0.3201 0.3201 0.0397
0.3966 0.3952 0.3383
0.6048 0.6034 0.6617
0.1302 0.6048 0.6617
0.3952 0.8698 0.3383
0.8698 0.3966 0.3383
0.6034 0.1302 0.6617
```

Computed properties:
Crystal system ... trigonal

[2]
## CsFe2RuCl (GGA-PBE)

Data for a relaxed CsFe2RuCl crystal.

```
CsFe2RuCl
1.0
-0.5834 -3.3726 -3.6572
4.0088 1.8619 -2.3565
3.3876 -3.6811 2.8543
Cs Ru Fe Cl
1 1 2 1
direct
0.0000 0.0000 0.0000
0.5000 0.5000 0.5000
0.0000 0.5000 0.0000
0.5000 0.0000 0.0000
0.0000 0.0000 0.5000
```

Computed properties:
Crystal system ... tetragonal
DOS at the Fermi energy ... 8.52 states/eV/cell

[3]
## CsFeSbCl6 (GGA-PBE)

Data for a relaxed CsFeSbCl6 crystal.

```
CsFeSbCl6
1.0
6.8097 0.0003 0.0087
3.4051 5.9002 0.0048
0.0098 -0.0008 7.7567
Cs Fe Sb Cl
1 1 1 6
direct
0.0001 0.9997 0.0000
0.6673 0.6653 0.5000
0.3337 0.3327 0.5000
0.9793 0.3879 0.3115
0.3901 0.9796 0.6899
0.6327 0.3880 0.6885
0.9796 0.6337 0.6880
0.3867 0.6337 0.3120
0.6303 0.9795 0.3101
```

Computed properties:
Crystal system ... monoclinic
DOS at the Fermi energy ... 6.32 states/eV/cell

[4]
## Cs2FeSbCl6 (GGA-PBE)

Data for a relaxed Cs2FeSbCl6 crystal.

```
Cs2FeSbCl6
1.0
7.4492 0.0000 0.0000
0.0000 7.4492 0.0000
3.7246 3.7246 5.6582
Cs Sb Fe Cl
2 1 1 6
direct
0.7500 0.2500 0.5000
0.2500 0.7500 0.5000
0.0000 0.0000 0.0000
0.5000 0.5000 0.0000
0.2938 0.2938 0.4124
0.7062 0.7062 0.5876
0.2534 0.2534 0.0000
0.7466 0.7466 0.0000
0.7466 0.2534 0.0000
0.2534 0.7466 0.0000
```

Computed properties:
Crystal system ... tetragonal
DOS at the Fermi energy ... 0.00 states/eV/cell

[5]
## Cs2FeSeCl6 (GGA-PBE)

Data for a relaxed Cs2FeSeCl6 crystal.

```
Cs2FeSeCl6
1.0
-2.6033 6.1968 -3.8645
-4.7541 -4.5524 -4.0971
-7.3741 1.4847 -0.4291
Cs Fe Se Cl
2 1 1 6
direct
0.7500 0.2500 0.5000
0.2500 0.7500 0.5000
0.5000 0.5000 0.0000
0.0000 0.0000 0.0000
0.2363 0.2363 0.5274
0.7637 0.7637 0.4726
0.2885 0.2885 0.0000
0.7115 0.7115 0.0000
0.7115 0.2885 0.0000
0.2885 0.7115 0.0000
```

Computed properties:
Crystal system ... tetragonal
DOS at the Fermi energy ... 6.30 states/eV/cell

[6]
## Cs2FeSnCl6 (GGA-PBE)

Data for a relaxed Cs2FeSnCl6 crystal.

```
Cs2FeSnCl6
1.0
-5.4330 0.6019 5.1681
-3.5841 -5.8494 -3.0866
-1.8287 -5.9573 4.2462
Cs Cl Sn Fe
2 6 1 1
direct
0.7500 0.2500 0.5000
0.2500 0.7500 0.5000
0.2643 0.2643 0.4715
0.7357 0.7357 0.5285
0.2664 0.2664 0.0000
0.7336 0.7336 0.0000
0.7336 0.2664 0.0000
0.2664 0.7336 0.0000
0.0000 0.0000 0.0000
0.5000 0.5000 0.0000
```

Computed properties:
Crystal system ... tetragonal
DOS at the Fermi energy ... 21.99 states/eV/cell

[7]
## CsFeSn2Cl8 (GGA-PBE)

Data for a relaxed CsFeSn2Cl8 crystal.

```
CsFeSn2Cl8
1.0
-1.1127 -2.6638 6.0986
-5.1990 -4.3750 -2.6059
1.9398 -8.3719 -3.6889
Cs Fe Sn Cl
1 1 2 8
direct
0.0000 0.0000 0.5000
0.0000 0.0000 0.0000
0.5423 0.2567 0.7616
0.4577 0.7433 0.2384
0.0596 0.6701 0.2518
0.7646 0.8617 0.9067
0.7606 0.0982 0.1160
0.9404 0.3299 0.7482
0.2354 0.1383 0.0933
0.2394 0.9018 0.8840
0.4787 0.7324 0.5231
0.5213 0.2676 0.4769
```

Computed properties:
Crystal system ... triclinic
DOS at the Fermi energy ... 9.63 states/eV/cell

[8]
## Cs2SrFeCl6 (GGA-PBE)

Data for a relaxed Cs2SrFeCl6 crystal.

```
Cs2SrFeCl6
1.0
7.5813 0.0000 0.0000
0.0000 7.5813 0.0000
3.7907 3.7907 5.3928
Cs Sr Fe Cl
2 1 1 6
direct
0.7500 0.2500 0.5000
0.2500 0.7500 0.5000
0.0000 0.0000 0.0000
0.5000 0.5000 0.0000
0.2658 0.2658 0.4683
0.7342 0.7342 0.5317
0.2679 0.2679 0.0000
0.7321 0.7321 0.0000
0.7321 0.2679 0.0000
0.2679 0.7321 0.0000
```

Computed properties:
Crystal system ... tetragonal
DOS at the Fermi energy ... 15.10 states/eV/cell

[9]
## CsTbFe2Cl8 (GGA-PBE)

Data for a relaxed CsTbFe2Cl8 crystal.

```
CsTbFe2Cl8
1.0
-0.1554 -5.8905 2.8643
+++

To do:
Your job: count the lines further up that contain the word "Fe" and give the number alone.

Response:
8